Win 7 drivers should be available for download soon.
I think I may have found a contributor to the poor battery life. I noticed the nVidia GPU Activity Indicator lights up and says that SB Cinema is active and using the dedicated GPU even though I configured it to use integrated in the nVidia Control Panel. I can't figure out what exe is doing it though because the sbcinema.exe file isn't in the task manager. But if the dedicated GPU is active while on battery, even if idle that could consume several precious Watts more energy.
Try uninstalling the sound blaster software altogether?
I have a similar glitch cropping up from time to time on the 110er where optimus will not switch off until reboot after piping audio through the hdmi. Wouldn't surprise me if sound blaster cinema is detecting it as another sound card, causing this. -
Can you confirm what program you are using to measure your temperature?
I'm idling at 55-65 C even with a cooler. I also repasted but didn't help much.
Also, if you press the very bottom of the spacebar, does it register for you? I'm wondering if it will be worth it for me to get a keyboard exchange, but need some info whether other people are facing this. -
Hey, I see you mentioned that you found out that the discrete graphics were on when you did the battery test. Any chance you could do a battery test while ensuring that the nvidia graphics are disabled the whole time? I talked to someone from xotic pc and they said there should be no problem getting 5 hours battery life if you have power saving plans enabled, brightness down and the nvidia gpu disabled. This laptop would be almost exactly what I'm looking for if I can use it as a general purpose laptop for ~5 hours on battery and then get a little bit more GPU muscle when plugged in.
Is there anything besides undervolting you would recommend to improve the somewhat abysmal battery life? Also, I saw things about the Clevo W740SU recently, how does that stack up to the w230st in terms of performance (how much worse?)
And is your optimus on or off when this is the case? -
Looking around at some early gaming benchmarks, I think the gap may widen as you up the resolution and/or turn on extra bells and whistles. It's probably enough for lower-res, "medium"-options gaming, and certainly fine for web browsing, watching movies, etc. -
For the space bar I guess if I tap the very bottom it doesn't register, but that's pretty normal. The switch is in the middle. You just have to tap it near the middle and it activates no problem at all.
Horizontally it activates pretty much across the entire bar. Up/down it activates in the inner 80%. To me it isn't a problem at all, never a missed space.
For the keyboard, this issue seems to be mainly with chiclet-like
keyboards as I have not seen this issue on my older laptops. I do have an HP elitebook with a chiclet keyboard, but it works 99% both vertical and horizontal so you would only miss if you pressed the very tip of the corner.
The bottom spacebar missing kind of bothers me since I mainly use the laptop on my bed with the laptop sitting on my upper chest and my hands curl around which makes me hit around the bottom of the spacebar. -
For German / Euro-zone thread watchers, the rep from HawkForce said you can PM user "HawkForce" for a NBR member discount of €50, if you're interested. They're also helping me to remove the VAT / MwSt since I'm not a citizen.
Achusaysblessyou eecs geek ftw :D
All these issues with knowing which GPU being used is why I prefer the Sony solution of having a dedicated switch to turn on or off GPUs. This way, we don't have to guess what GPU is being used or not being used and software's always going to have bugs, etc. A physical switch would solve all those issues pronto...
1st of all, great review HTWingnut. Much appreciated!
I just got my little W230ST today, and I wanted to replicate your undervolting (I have the 4700mq, however). When you say you undervolted by 100mV, are you referring to the "Dynamic CPU Voltage Offset" or the "Core Voltage" slider?
Is there any way you could just post a screenshot of your XTU settings?
Thanks so much. I really want to get my CPU down to the 80c range under load. Right now the stress test takes it up to the low 90's. -
Dynamic CPU Voltage offset.
When I run XTU and create a new profile how do I ensure that it is running without checking in CTU every time? It seems like it keeps going back to the default. Any word on the Prema BIOS?
It should not keep going back to default. I'm assuming you clicked Apply? It should stick with that indefinitely until you change it again or if your computer crashes.
I received my coolermaster xslim yesterday, and it's MUCH more comfortable on the lap than the X3 which I had previously ordered.
As a note it is quite cool in MI today, probably around 65F when I was using it, so I can't comment on how good it will be when actually warm yet, but just size/shape/weight/build, MUCH better. (or BETTARZ if you will)
...and still in sent to factory blah blah blah limbo mode... (Project shield & new nexus 7 due 1w from today though... although I'm REALLY considering cancelling shield ATM...) -
HT, so the only thing you changed in XTU was to set the Dynamic to -100mV, correct? I thought you also upped the clocks a bit, right?
A-ha! I was wondering why I couldn't get my temps down to 80c. Thanks so much for sharing your settings. I'm still getting the little monster set up (using it now to post this) but I'm very much looking forward to seeing the gaming performance!
Personally I had been thinking that you dumped core voltage, but I'm just not seeing that in XTU, so I dumped cache(8250) and well, it was a LITTLE better, but... (not quite what I had hoped for, or had seen from your 7330 reports)
So, I started looking at dynamic voltage... but at the moment I think that I'm at the point where I need to go pull some data sheets, as in I'm having a hard time seeing cache -100mV dropping temps so much as it's pretty paltry and pn;y cache.... so I guess ark here I come... -
Just got my W230ST and I'm typing on it right now. Got a question for you HT, is the power button design to be pressed for 1-2 sec while on battery to turn on the machine? Reason I'm asking is that when I was plugged in, I only have to pressed the power button without holding it and it would power on the machine right away, but when i'm on battery i need to hold down the power button for 1-2 sec for it to power on. Is that normal?
Another thing, the battery power icon indicator only shows percentage and no longer shows the time remaining but my Alienware 14 and Sony Vaio shows it. Is this a Clevo/Sager thing? Is there a setting to turn this back on? -
Art4ull Dodg4ar!!! Notebook Consultant
Hey guys, I am looking to pick up this for my w230 baby that is on its way,
Liteon LMT 256M3M mSata 6gb/s
Does anyone have any experience with this brand an if its a viable purchase, what's the difference between this an the plextors everyone is going on about, they made by the same manufacturer.
Any info will be greatly appreciated
Sent from Space using Tapatalk 2 -
Here's the settings I used. Default (stock) on left, changes highlighted yellow on right, direct from XTU.
Changing core voltage doesn't seem to do squat, only the dynamic core voltage, probably because it's locked on "adaptive" and not "static". If you run the XTU Stress Test at stock you will see the CPU speed drop to 3.1 or 3.2GHz or lower even. If you drop -100mV then run the stress test, CPU maintains 3.5GHz. -
Thx HTWingnut for ur review. Was waiting for it. As expected cpu always runs hot while gpu is cool as hell...Seems like a Clevo gimmick, XTU undervolting is nice though. Getting a 37W cpu and undervolting it should be nice. Battery life seems not so bad considering you're running 3 ssds, a 47W cpu and 2 sticks of ram. Do you have a wattmeter to take the power consumption at the wall ? Nice to the 120W power block is smaller also.
I was interesting to get the 14" Iris 5200 by curiosity but why the heck they didn't implement a backlight keyboard on it ? Kind of a deal killer. I'm not sure about power efficiency during load also.
Thx again. Good job as always.
Edit :According to this german review, Iris 5200 is not that power efficient for gaming.
Ok W230ST it isThe W740SU seems to be hard to dissassemble also. Yuck !!!!
GAH! I did power consumption from the wall and can't believe I omitted it!
I could have sworn I did a quick write up about it.
I will add it (later today after work). -
Great Review HTWingNut, thank you! I´m from Europe and I cant wait that the W230ST will be avaible around here. There is just one thing i really would like to know: You talked about the Clevo Control Center where you can set different overall settings for the notebook. How is the fan working in silent mode?
I mean is it really not making any noise for lets say 80% of the time and jumping on from time to time or is it constanly spinning at low (silent) speed?
I ask because i hate it when cooling fans just start like an airplane when i sit in libary of my university so you get distracted from what you were reading... -
Oh ok. So this is normal and all Clevo laptop users have this? -
Now, as much as I hate to say this, I need one of those too warm days again, but I'm prefectly happy to wait hopefully, several weeks for one... -
I'm in the process of gathering the parts to put my w230 together and have been looking thru mSata choices.
(What comes next are quantum chemistry results, not part of the text)
1.
# C23H29N3O4S

C23H29N3O4S in the gas phase (ωB97M-V with the def2-TZVPD basis set, OMol25).

Summary:
**SMILES**: O=C(NCCCN1CCOCC1)c1cccc(S(=O)(=O)N2CCc3ccccc3C2)c1
**Frontier orbital gap**: 9.1 eV
**HOMO level**: -8.73 eV
**ΔE to the lowest compared entry with this formula, charge and spin**: 41.1 kcal per mole
**Max |F|**: 0.0206 hartree/bohr

The geometry in XYZ format:
```
60
C23H29N3O4S (ωB97M-V with the def2-TZVPD basis set)
O 4.94 1.91 -0.05
C 3.93 1.38 0.38
N 3.94 0.41 1.32
C 5.16 -0.23 1.73
C 5.08 -1.75 1.54
C 4.73 -2.13 0.10
N 3.34 -1.85 -0.23
C 2.43 -2.89 0.23
C 0.99 -2.49 -0.07
O 0.80 -2.27 -1.46
C 1.69 -1.28 -1.93
C 3.15 -1.65 -1.66
C 2.56 1.79 -0.10
C 2.49 2.57 -1.25
C 1.28 2.94 -1.79
C 0.10 2.52 -1.19
C 0.17 1.75 -0.05
S -1.32 1.17 0.77
O -1.88 2.25 1.52
O -0.96 -0.04 1.47
N -2.32 0.88 -0.54
C -2.16 -0.42 -1.16
C -2.87 -1.50 -0.36
C -4.29 -1.11 -0.07
C -5.24 -2.07 0.24
C -6.55 -1.72 0.53
C -6.92 -0.39 0.51
C -5.99 0.58 0.20
C -4.67 0.23 -0.09
C -3.69 1.32 -0.45
C 1.38 1.39 0.51
H 3.10 -0.11 1.49
H 5.36 -0.01 2.79
H 5.97 0.19 1.13
H 4.33 -2.16 2.22
H 6.04 -2.19 1.80
H 5.36 -1.53 -0.57
H 4.97 -3.19 -0.07
H 2.55 -3.03 1.31
H 2.65 -3.85 -0.27
H 0.31 -3.30 0.20
H 0.72 -1.59 0.49
H 1.51 -1.21 -3.00
H 1.46 -0.32 -1.45
H 3.78 -0.82 -1.99
H 3.41 -2.55 -2.23
H 3.42 2.88 -1.71
H 1.24 3.55 -2.68
H -0.87 2.77 -1.60
H -2.57 -0.36 -2.18
H -1.09 -0.63 -1.23
H -2.84 -2.45 -0.91
H -2.34 -1.64 0.58
H -4.95 -3.11 0.25
H -7.27 -2.49 0.77
H -7.94 -0.11 0.74
H -6.27 1.62 0.18
H -3.98 1.76 -1.42
H -3.71 2.11 0.30
H 1.34 0.82 1.42
```

natural (NBO) atomic charge list, values in e, 5 entries: atom 1 (O): -0.6308, atom 2 (C): 0.6577, atom 3 (N): -0.5934, atom 4 (C): -0.2228, atom 5 (C): -0.4116

2.
# C23H19AuBN4O3S

A molecular structure, C23H19AuBN4O3S (ωB97M-V with the def2-TZVPD basis set, OMol25).

Summary:
**Charge**: +1
**Frontier orbital gap**: 8.0 eV
**HOMO level**: -11.18 eV
**ΔE to the lowest compared entry with this formula, charge and spin**: 0.0 kcal per mole
**Max |F|**: 0.0044 hartree/bohr

The geometry in XYZ format:
```
52
C23H19AuBN4O3S (ωB97M-V with the def2-TZVPD basis set)
Au 0.47 -0.34 0.95
C -2.17 2.59 -0.97
C -0.99 1.70 -0.74
N -0.99 0.87 0.25
N -2.10 0.87 1.09
C -1.78 0.54 2.32
O -0.59 0.18 2.70
C -2.85 0.58 3.34
C -2.51 0.42 4.68
C -3.50 0.45 5.65
C -4.82 0.64 5.29
C -5.16 0.80 3.95
C -4.18 0.77 2.98
C 0.17 1.81 -1.66
C -0.05 2.17 -2.99
C 1.03 2.23 -3.85
C 2.30 1.97 -3.36
C 2.42 1.66 -2.02
N 1.39 1.57 -1.18
H -2.68 2.80 -0.04
H -2.89 2.07 -1.62
H -1.86 3.50 -1.47
H -1.47 0.28 4.95
H -3.23 0.34 6.70
H -5.59 0.67 6.05
H -6.20 0.94 3.67
H -4.43 0.89 1.93
H -1.06 2.36 -3.35
H 0.88 2.48 -4.89
H 3.17 2.02 -3.99
H 3.40 1.46 -1.59
O 2.43 -1.44 -1.12
B 1.15 -0.99 -0.86
O 0.34 -1.05 -1.97
C 1.16 -1.52 -2.98
C 0.85 -1.75 -4.30
C 1.89 -2.22 -5.10
C 3.16 -2.45 -4.59
C 3.46 -2.23 -3.25
C 2.43 -1.76 -2.47
H -0.14 -1.57 -4.69
H 1.70 -2.41 -6.15
H 3.94 -2.82 -5.24
H 4.44 -2.41 -2.84
S 3.88 -2.56 2.93
C 2.44 -2.63 3.84
C 1.44 -1.98 3.20
Why are the plextors the top choice? and Somehow I remember I heard "dont choose one with a sandforce chipset", is this true? are there problems? -
Yes mighty probs. I don't know what I am talking about... Only that sandforce ones inherrently die, and have to be reset by the manufacturer. This pretty much inlcudes most if not all cheap mlc mSATAs such as OCD and crucial. Someone please jump in and correct me if I am wrong. I can't find any slc ssds.
Notebookreview has a review of the m4 and Anandtech has a good one of the Plextor M4M. Check them out. -
AWESOME review HT! Like seriously, AWESOME! :thumbsup:
I'm considering pulling the trigger on this machine, the only thing holding me back is the possibility of getting a Lenovo Y510P instead.
One thing that could make me lean towards the W230ST would be if you could confirm that there really is no loss in fidelity when gaming at 720P as opposed to native resolution. If I can play all my games at 720P and not have to worry about blurriness or loss of fidelity, then this machine is a surefire win. -
bredrin. you need to tell me what you just said there. did you just say. hawkforce will help you out by removing to pay VAT becayse you do not live in the same country?. also i was thinking this the other day. times are hard but if i could buy without cost of vat. id snap it up. -
Meaker@Sager Company Representative
Will disabling turbo boost and keeping all 4 cores at static 2.4ghz severely impact frames per sec gaming performance? I'm about to experiment in a little bit since after running 3dmark11 and finishing it within 10 minutes, my cpu temp went 99c WOW!!!
Also battery life last night after testing it with just surfing and playing music at Balanced Mode 40% brightness from 100% - 7% critical to hibernation was 3:02 hrs which is very disappointing and I only have 1 SSD drive in my w230st. I was hoping to get closer to 4hrs but this is not good. But i'm going to keep testing tonight and see what happens. -
Meaker@Sager Company Representative
Good luck finding any SLC drives anyway lol, I suppose if you were truly paranoid and had a fat wallet that desperately needed emptying you could plump for intel s3700 which will on the 800GB do a staggering 14.6PB of writes as a MINIMUM (constantly writing random data).
Of course you pay twice the cost per GB for that -
I wasn't trying to perpetuate the SSD "no more writes for you" myth, just saying that even with the least "durable" NAND will still last a lifetime unless you're constantly writing data... and EVEN THEN it'll take years for it to wear out.
Meaker@Sager Company Representative
Taking the 800GB intel drive as an example if you write 800GB of random data to it every day it will last 52.4288 years.
HTWingNut's Sager NP7330 / Clevo W230ST REVIEW
Discussion in 'Sager/Clevo Reviews & Owners' Lounges' started by HTWingNut, Jul 21, 2013.